4 Rounds For Time of:
10 Handstand Push-Ups
10 L-Pull-ups
Post time to comments.
Accessory work
Weighted Hip Extensions 8×3
Basic Bounce or Double Under Practice- 10 minutes
The Relaxation Response
Have you ever experimented with regular meditation or relaxation techniques?
Moderate volume in today’s WOD. Keep your ROM strict and the L Pull-ups legit. Go chest to bar if you can.
I used to meditate in college pretty regularly. You do get a lot better at it with consistent practice and the benefits are quite apparent. My advice would be to not have any expectations of it the first several sessions. It’s interesting how hard it is to quiet your mind.Hard mental training for sure.
hey guys. not gonna make the WOD today shit’s piling up at work. time to hit the globogym. see you guys on wednesday.
bacon resources:
Not going to make it tonight, hopefully tomorrow morning.
Adam, you forgot the Wake N’ Bacon in your worship. http://www.mathlete.com/portfolio/wakeNbacon.phpI'm waiting for the proposed air cannon add-on before I take the plunge myself.
Warm-up:Not much, some Droms and Sit-ups
WOD:7:15 as Rx’d
Chest to bar level
Hip Extensions: 45x12x3
I did presses instead of handstand push ups.1st round started with 115 lbs, did the first 9 reps, dropped down to 105 lbs for the 10th rep and for round 2.For rounds 3 and 4, I did 95 lbs.My L-shape is really more of a squiggly line.
=====
First-principles (GGA-PBE) data for a relaxed structure of CdRe2Hg, as listed in Alexandria.

Volume (Å³/cell): 70.4
Density of states at the Fermi level (states/eV/cell): 4.45
Calculated total energy (eV/atom): -5.56
Calculated formation energy (eV per atom): 0.972
Total magnetization (μB/atom): 0.0002
Offset from the most stable computed form (meV/atom): 659

Cell lengths 5.4138, 5.4138, 5.4138 Å; angles 137.95, 137.95, 60.98 degrees
Sites, in units of the cell vectors:
Cd 0.0000 0.0000 0.0000
Re 0.2500 0.7500 0.5000
Re 0.7500 0.2500 0.5000
Hg 0.5000 0.5000 0.0000


First-principles (GGA-PBE) data for a relaxed structure of Cd2ReHg, as listed in Alexandria.

Volume (Å³/cell): 79.6
Density of states at the Fermi level (states/eV/cell): 2.36
Calculated total energy (eV/atom): -3.11
Calculated formation energy (eV per atom): 0.531
Total magnetization (μB/atom): 0.1912

Cell lengths 2.9203, 2.9203, 9.3331 Å; angles 90.00, 90.00, 90.00 degrees
Sites, in units of the cell vectors:
Cd 0.0000 0.0000 0.2247
Cd 0.0000 0.0000 0.7753
Re 0.5000 0.5000 0.0000
Hg 0.5000 0.5000 0.5000


First-principles (GGA-PBE) data for a relaxed structure of CdReHg3, as listed in Alexandria.

Volume (Å³/cell): 156.9
Density of states at the Fermi level (states/eV/cell): 3.56
Calculated total energy (eV/atom): -1.95
Calculated formation energy (eV per atom): 0.900
Total magnetization (μB/atom): 0.5180
Offset from the most stable computed form (meV/atom): 0

Cell lengths 5.3938, 5.3938, 5.3938 Å; angles 90.00, 90.00, 90.00 degrees
Sites, in units of the cell vectors:
Cd 0.0000 0.0000 0.0000
Re 0.5000 0.5000 0.5000
Hg 0.0000 0.5000 0.5000
Hg 0.5000 0.0000 0.5000
Hg 0.5000 0.5000 0.0000


First-principles (GGA-PBE) data for a relaxed structure of CdRe2Hg, as listed in Alexandria.

Volume (Å³/cell): 69.4
Density of states at the Fermi level (states/eV/cell): 3.77
Calculated total energy (eV/atom): -5.71
Calculated formation energy (eV per atom): 0.821
Total magnetization (μB/atom): 0.0000
Offset from the most stable computed form (meV/atom): 508

Cell lengths 9.8560, 9.8560, 9.8560 Å; angles 16.76, 16.76, 16.76 degrees
Sites, in units of the cell vectors:
Cd 0.0000 0.0000 0.0000
Re 0.2501 0.2501 0.2501
Re 0.7499 0.7499 0.7499
Hg 0.5000 0.5000 0.5000

~~~~~

[1]
PaSi2Ir3: optimized geometry, PBE.

E_form (uncorrected): -0.92 eV per atom
size of the total moment: 0.00 μB per formula unit
VASP energy: -8.7378 eV per atom

a b c (Å): 3.955 8.306 9.711
angles (deg): 107.34 90.00 103.77
Element x y z (fractional)
Si  0.464  0.929  0.226
Si  0.536  0.071  0.774
Ir  0.777  0.554  0.611
Ir  0.957  0.913  0.672
Ir  0.043  0.087  0.328
Pa  0.843  0.686  0.300
Si  0.197  0.394  0.127
Ir  0.380  0.761  0.805
Si  0.803  0.606  0.873
Pa  0.157  0.314  0.700
Pa  0.000  0.000  0.000
Ir  0.223  0.446  0.389
Si  0.363  0.727  0.550
Si  0.637  0.273  0.450
Ir  0.500  0.000  0.500
Ir  0.620  0.239  0.195
Ir  0.325  0.650  0.051
Ir  0.675  0.350  0.949

---

[2]
PrZr2S4: optimized geometry, PBE.
=====
The piece goes on:
Time 14:54
After that did Annie in 9:17my first sub-10 minute Annie, beating my previous PR by over 2 minutes. The double-unders were working, the sit-ups actually proved to be more difficult.
So after yesterdays 2x’s bodyweight + deadlift and todays sub-10 Annie, I’ve achieved what were my two primary goals. As a 405 lb deadlift is a LONG WAYS OFF, it’s time to start coming up with a couple other primary targets to obsess over.
Erik – nice. I know you wanted that sub-10 Annie.
ack what a day. I wish I had relaxation response technique dialed in.
Today’s WOD
1 ab mat + 1 15lb plate for HSPUsL-pull-ups/chin-ups
Accessory Work3 Sets/ 8 reps Strict DB Press-40#3 Sets Hip Extension (10, 25, 35)
The HSPUs were a lot stronger than they were during the last time I did them during that dreadful ascending/descending WOD earlier in the summer. Keeping my legs together and focusing on midline stabilization was key. Thanks Margie! Still need a lot of work on them.
Great work on Annie, Erik! Now that my bum has healed I’m eager to do it again.
Yesterday’s WOD
Warm-up800m Row-2:57 (59 Calories)
WODWarm-up (135, 225)Work (275, 300, 315, 330 (f), 315 (f))
K2E3 Sets x 12 (4#, BW, BW)
Tried stringing together some muscle ups. Got a couple of 2s. Really really ugly though. My right arm keeps getting stuck during the transition. hmm
18:40HSPU to 1 15#plate and 1 abmatPullups mix of strict and kipping
accessory4 sets hip extensions (bodyweight, 10, 25, 25)DB shoulder press: 8 reps/20#; 8 reps/25#; 6 reps 25#
Worked DUs. Was able to string together 5 or 6 DU/single/DU a bunch of times for the first time.
17:44HSPU to 10#plate + 2 abmatsstrict + kipping pull ups
accessory work + db presses (8 reps @ 20#, 8 reps @ 25#)
feeling even more sick…again. boo.
what a week
12:4725 lb dumbell presses for hspu
more dub presses 8x38x3 hip ext 10lb
10min jump ropewhee
maybe this week the world will end!
WOD – 7:51 using 2 abmats for hspu (keeping my balance was hard, thanks Jacinto for your help)weighted hip ext – 25# 35# 45#jump rope – needed the pracice, can’t get double unders yet.
14:4420 full rom hspu overall, 20 40# db presses40 L pullups
back ext – 20,30,40#’s, 8×3
Tried to get the triple under, couldn’t quite get it
57 burpees
By the way – thanks for bringing up relaxation David. Personally, the past month or two has been emotionally challenging and it’s definitely impacted my ability to quiet my mind, which has affected my quality of sleep. As soon as that gets off balance, so does my eating and exercise. All that stuff is cyclical and self-perpetuating.
I’ve gotten myself back to yoga once a week, which gives me a chance to be in my body in a very different way, and also benefit from the mini-meditation that comes at the end of class. And, yes, it’s really hard to actually relax my face and mind.
Interesting post about the relaxation and meditation stuff. I’m with Margie in that I get that from yoga more than anything else. (I tried to become a buddhist nun once. Got rejected. True and humbling story.)
That said, and David, I will email you offline too, if there is interest, I know a certain yoga teacher who would be happy to teach a mindful yet sweaty vinyassa class in the vastness of the lyceum, if people were interested. Might be a fun workshop– a moving meditation, as it were.
just for fun.
DIY kettle bell!!
Just ran the park and did a crossfit-esque rotation of push ups, sit ups, and pull ups. Now it’s time for League Night at Melody Lanes. Looking forward to thursday foundation’s class.
yeah, i was introduced to meditation in the buddhist vipassana tradition (‘insight meditation’ in the us) by my favorite college teacher back in ’01. definitely worthwhile– benefits in calmness, openness, kindness, and wellness are quite apparent, as david says, if you stick with it.
this type of practice is taught here in the city at new york insight– nyimc.org
Jenna, I would be into a sweaty vinyassa series. Interesting that sleep seems to be an issue for a lot of people these days. Stressful times and it often plays out in our sleep. Would be interested to hear what others are doing to prevent sleeplessness.
Looking forward to Foundations on Thursday. The “sore” this week was not as bad as last week although those burpees have left their mark!
Have loved Cross Fit since starting, really hoping to kick start myself into shape after a long hiatus from any type of Gym routine. I have recently signed up to run the London Marathon in April as I always think it helps to focus by having a fitness goal and what better way to do it than combining it into a trip.
Big up to the other Matt in our Foundations class for helping me get through that last set of Burpees, I appreciate it!
Finally, I was just thinking about this the last class, but does anyone else ever feel like they are in an old school Janet Jackson video working out at the Lyceum. I love the water dripping from the roof and the aged looking scenary, it gets me pumped for a workout like I am in one of those Rocky training scenes.
Anyway, see you all this Thursday.